

**Materials data, as found in the file:**
+++
Entry A
First-principles (PBE-GGA) data for a geometry-optimized AcNdAu structure, as listed in Alexandria.

The magnetization comes out at 0.000 μB per cell.

It has space group P3m1 (No. 156), with a = 5.0575 Å, b = 5.0575 Å, c = 4.5103 Å, α = 90.00°, β = 90.00° and γ = 120.00°. Symmetry generates all atoms from Ac at (0.0000, 0.0000, 0.0000), Nd at (0.3333, 0.6667, 0.4893) and Au at (0.6667, 0.3333, 0.5767).



Entry B
First-principles (PBE-GGA) data for a geometry-optimized AcNdAu structure, as listed in Alexandria.

The magnetization comes out at 0.829 μB per cell.

It has space group I4mm (No. 107), with a = 3.841 Å, b = 3.841 Å, c = 13.146 Å, α = 90.00°, β = 90.00° and γ = 90.00°. Symmetry generates all atoms from Ac at (0.000, 0.000, 0.000), Nd at (0.000, 0.000, 0.282) and Au at (0.000, 0.000, 0.657).



The relative energies come out as entry A 107; entry B 0, with values in meV per atom.



Entry A
First-principles (PBE-GGA) data for a geometry-optimized AcNdAu structure, as listed in Alexandria.

The magnetization comes out at 0.000 μB per cell.

It has space group P4/nmm (No. 129, origin choice 2), with a = 5.045 Å, b = 5.045 Å, c = 7.797 Å, α = 90.00°, β = 90.00° and γ = 90.00°. Symmetry generates all atoms from Ac at (0.250, 0.250, 0.122), Nd at (0.250, 0.750, 0.500) and Au at (0.250, 0.250, 0.728).



Entry B
First-principles (PBE-GGA) data for a geometry-optimized AcNdAu structure, as listed in Alexandria.

The magnetization comes out at 0.000 μB per cell.

It has space group P2_1/m (No. 11), with a = 8.529 Å, b = 5.215 Å, c = 13.108 Å, α = 90.00°, β = 91.44° and γ = 90.00°. Symmetry generates all atoms from Ac at (0.029, 0.250, 0.227), Ac at (0.357, 0.750, 0.583), Ac at (0.464, 0.750, 0.884), Nd at (0.043, 0.250, 0.580), Nd at (0.138, 0.250, 0.949), Nd at (0.346, 0.750, 0.282), Au at (0.219, 0.750, 0.064), Au at (0.274, 0.250, 0.407) and Au at (0.300, 0.250, 0.747).



The relative energies come out as entry A 19; entry B 0, with values in meV per atom.



Entry A
First-principles (PBE-GGA) data for a geometry-optimized AcNdAu structure, as listed in Alexandria.

The magnetization comes out at 1.195 μB per cell.

It has space group F-43m (No. 216), with a = 7.496 Å, b = 7.496 Å, c = 7.496 Å, α = 90.00°, β = 90.00° and γ = 90.00°. Symmetry generates all atoms from Ac at (0.000, 0.000, 0.000), Nd at (0.000, 0.000, 0.500) and Au at (0.250, 0.250, 0.250).



Entry B
First-principles (PBE-GGA) data for a geometry-optimized AcNdAu structure, as listed in Alexandria.

The magnetization comes out at 0.000 μB per cell.

It has space group R-3m (No. 166, hexagonal axes), with a = 4.6627 Å, b = 4.6627 Å, c = 35.2545 Å, α = 90.00°, β = 90.00° and γ = 120.00°. Symmetry generates all atoms from Ac at (0.0000, 0.0000, 0.2071), Nd at (0.0000, 0.0000, 0.0474) and Au at (0.0000, 0.0000, 0.3292).



The relative energies come out as entry A 0; entry B 118, with values in meV per atom.



Entry A
+++

Study on the Chemical Composition and Antimicrobial Activity of Essential Oils from Many Plants and the Bioactivity and Stability of Bergenin

【作者】 朱顺英

【导师】 邹国林;

【作者基本信息】 武汉大学 , 生物化学与分子生物学, 2005, 博士

Attached: calculated crystals:
/*
Entry 1:
A plane-wave DFT calculation with GGA-PBEsol was carried out for crystalline Mn3WN at its relaxed geometry.

abc: 3.730 3.730 3.730
angles: 90.00 90.00 90.00
Sites, in units of the cell vectors:
Mn 0.000 0.500 0.000
Mn 0.000 0.000 0.500
Mn 0.500 0.000 0.000
W 0.500 0.500 0.500
N 0.000 0.000 0.000

Values from the calculation:
Symmetry: No. 221
E, eV/atom: -10.535
Total magnetic moment, μB per atom: 0.000
Raw formation energy, kcal/mol of atoms: -4.88

---

Entry 2:
A plane-wave DFT calculation with GGA-PBEsol was carried out for crystalline LaCrO3 at its relaxed geometry.

abc: 5.472 5.468 7.724
angles: 90.00 90.00 90.00
Last column: magnetic moment on the atom in μB.
Sites, in units of the cell vectors:
La 0.506 0.468 0.250  0.05
La 0.994 0.968 0.250  0.05
La 0.006 0.032 0.750  0.05
La 0.494 0.532 0.750  0.05
Cr 0.500 0.000 0.000  2.70
Cr 0.000 0.500 0.500  2.70
Cr 0.000 0.500 0.000  2.70
Cr 0.500 0.000 0.500  2.70
O 0.572 0.988 0.750  0.03
O 0.928 0.488 0.750  0.03
O 0.072 0.512 0.250  0.03
O 0.428 0.012 0.250  0.03
O 0.216 0.784 0.961  0.03
O 0.284 0.284 0.539  0.03
O 0.716 0.716 0.039  0.03
O 0.784 0.216 0.461  0.03
O 0.784 0.216 0.039  0.03
O 0.716 0.716 0.461  0.03
O 0.284 0.284 0.961  0.03
O 0.216 0.784 0.539  0.03

Values from the calculation:
Symmetry: No. 62
E, eV/atom: -9.064
Total magnetic moment, μB per atom: 0.600
Raw formation energy, kcal/mol of atoms: -64.49

---

Entry 3:
A plane-wave DFT calculation with GGA-PBEsol was carried out for crystalline LaFeCo2 at its relaxed geometry.

abc: 3.994 3.994 5.391
angles: 68.26 68.26 60.00
Last column: magnetic moment on the atom in μB.
Sites, in units of the cell vectors:
Co 0.812 0.812 0.563  0.84
Co 0.188 0.188 0.437  0.84
Fe 0.500 0.500 0.500  1.77
La 0.000 0.000 0.000  -0.20

Values from the calculation:
Symmetry: No. 166
E, eV/atom: -7.441
Formation energy from the elements, meV/atom: 5
Total magnetic moment, μB per atom: 0.753

---

Entry 4:
A plane-wave DFT calculation with GGA-PBEsol was carried out for crystalline Ba2NiP at its relaxed geometry.

abc: 4.094 4.319 8.524
angles: 104.68 103.89 90.00
Last column: magnetic moment on the atom in μB.
Sites, in units of the cell vectors:
Ni 0.396 0.396 0.792  0.04
Ba 0.992 0.992 0.984  0.08
Ba 0.260 0.760 0.519  0.07
P 0.852 0.352 0.704  0.02

Values from the calculation:
Symmetry: No. 44
E, eV/atom: -4.609
Formation energy from the elements, meV/atom: -547
Total magnetic moment, μB per atom: 0.235

---

Entry 5:
A plane-wave DFT calculation with GGA-PBEsol was carried out for crystalline Zn2CdTe at its relaxed geometry.

abc: 3.081 3.081 8.597
angles: 90.00 90.00 90.00
Sites, in units of the cell vectors:
Cd 0.000 0.000 0.450
Te 0.500 0.500 0.771
Zn 0.000 0.000 0.052
Zn 0.500 0.500 0.226

Values from the calculation:
Symmetry: No. 99
E, eV/atom: -1.810
Total magnetic moment, μB per atom: 0.000
Raw formation energy, kcal/mol of atoms: 3.73

---

Entry 6:
*/
Back to the article:

【摘要】 本文通过GC-MS对18种植物挥发油成分进行了定性定量分析,并采用了滤纸片法和微量法测定了它们和3种纯品(蒿酮、对聚伞花烃和1,8-桉叶素)的抗菌活性。 定性分析是采用了3种不同极性的毛细管柱,通过Xcalibur工作站NIST 98系统谱库和挥发性成份的GC-MS定性谱库对被分析的组分的质谱进行检索,并与相关文献的质谱对照,另外,通过与正烷烃化合物的保留时间比较,采用线性插入的方法挥发油中各成分的保留指数,与GC-MS定性谱库和文献报道的化合物保留指数进行比较,进一步确认各化合物。定量分析按面积归一化法计算各化合物在挥发油中的百分含量。 在对挥发油进行定性分析时,由于采用了非极性、弱极性和极性毛细管色谱柱,挥发油的不同极性成分能较好的分开,提高了检出率及检出化合物的可信度。在使用质谱库进行检索的同时,采用保留指数进一步确证,结果更加可靠。 同时本文讨论了长瓣马铃苣苔中的生物活性组分岩白菜素的分离和初步鉴定,还探讨了岩白菜素的清除自由基的能力以及它的电化学稳定性、热稳定性和热分解动力学过程。

[Misplaced records of crystals]
+++
# 1
Si2AsCl | PBEsol | optimized geometry

Calculated values
- Relative energy among the computed polymorphs: 0.304 eV/atom
- Uncorrected formation energy: 0.264 eV per atom

a = 5.775 Å, b = 5.775 Å, c = 5.775 Å
α = 149.06°, β = 134.14°, γ = 56.35°
Fractional coordinates of all 4 atoms:
1 Si 0.000 0.000 0.000
2 Si 0.797 0.297 0.500
3 As 0.586 0.586 0.000
4 Cl 0.299 0.799 0.500


# 2
Mn3SnO8 | PBEsol | optimized geometry

Calculated values
- Uncorrected formation energy: -1.527 eV per atom

a = 6.045 Å, b = 6.045 Å, c = 6.045 Å
α = 55.88°, β = 55.88°, γ = 55.88°
Fractional coordinates of all 12 atoms:
1 Mn 0.000 0.500 0.500
2 Mn 0.500 0.000 0.500
3 Mn 0.500 0.500 0.000
4 Sn 0.500 0.500 0.500
5 O 0.251 0.251 0.710
6 O 0.251 0.710 0.251
7 O 0.269 0.269 0.269
8 O 0.290 0.749 0.749
9 O 0.710 0.251 0.251
10 O 0.731 0.731 0.731
11 O 0.749 0.290 0.749
12 O 0.749 0.749 0.290


# 3
HgPW2 | PBEsol | optimized geometry

Calculated values
- Relative energy among the computed polymorphs: 0.058 eV/atom
- Formation energy from the elements: 37 kJ/mol of atoms

a = 2.764 Å, b = 2.764 Å, c = 10.024 Å
α = 90.00°, β = 90.00°, γ = 108.89°
Fractional coordinates of all 4 atoms:
1 Hg 0.000 0.000 0.000
2 P 0.500 0.500 0.654
3 W 0.000 0.000 0.465
4 W 0.500 0.500 0.251


# 4
CaGa3Si | PBEsol | optimized geometry

Calculated values
- Uncorrected formation energy: 1.150 eV per atom

a = 5.302 Å, b = 5.302 Å, c = 5.302 Å
α = 90.00°, β = 90.00°, γ = 90.00°
Fractional coordinates of all 5 atoms:
1 Ca 0.000 0.000 0.000
2 Ga 0.000 0.000 0.500
3 Ga 0.000 0.500 0.000
4 Ga 0.500 0.000 0.000
5 Si 0.500 0.500 0.500


# 5
K2LiInAs2 | PBEsol | optimized geometry

Calculated values
- Formation energy from the elements: -55 kJ/mol of atoms

a = 10.063 Å, b = 10.063 Å, c = 6.347 Å
α = 90.00°, β = 90.00°, γ = 101.01°
Fractional coordinates of all 24 atoms:
1 K 0.074 0.426 0.750
2 K 0.173 0.827 0.773
3 K 0.327 0.673 0.273
4 K 0.426 0.074 0.250
5 K 0.574 0.926 0.750
6 K 0.673 0.327 0.727
7 K 0.827 0.173 0.227
8 K 0.926 0.574 0.250
9 Li 0.120 0.120 0.000
10 Li 0.380 0.380 0.500
11 Li 0.620 0.620 0.500
12 Li 0.880 0.880 0.000
13 In 0.132 0.132 0.500
14 In 0.368 0.368 0.000
15 In 0.632 0.632 0.000
16 In 0.868 0.868 0.500
17 As 0.098 0.902 0.268
18 As 0.149 0.351 0.250
19 As 0.351 0.149 0.750
20 As 0.402 0.598 0.768
21 As 0.598 0.402 0.232
22 As 0.649 0.851 0.250
23 As 0.851 0.649 0.750
24 As 0.902 0.098 0.732


# 6
K3NdP2S8 | PBEsol | optimized geometry

Calculated values
- Uncorrected formation energy: -1.085 eV per atom

a = 8.976 Å, b = 16.849 Å, c = 9.476 Å
α = 90.00°, β = 90.43°, γ = 90.00°
Fractional coordinates of all 56 atoms:
1 K 0.116 0.213 0.125
2 K 0.116 0.287 0.625
3 K 0.234 0.032 0.515
4 K 0.234 0.468 0.015
5 K 0.381 0.706 0.869
6 K 0.381 0.794 0.369
7 K 0.619 0.206 0.631
8 K 0.619 0.294 0.131
9 K 0.766 0.532 0.985
10 K 0.766 0.968 0.485
11 K 0.884 0.713 0.375
12 K 0.884 0.787 0.875
13 Nd 0.274 0.513 0.471
14 Nd 0.274 0.987 0.971
15 Nd 0.726 0.013 0.029
16 Nd 0.726 0.487 0.529
+++
[Here the piece continues]

【Abstract】 Essential oils obtained from 18 plant material were qualitatively and quantitatively analyzed by GC-MS. The antimicrobial activity of the oils of 18 plant material and pure samples (artemisia ketone, p-cymene, 1,8-cineole) was evaluated using disc paper and broth microdilution methods. The oils were analyzed by GC-MS with three different fused silica capillary columns (30 m×0.25 mm i.d.; film thickness 0.25 μm) of different polarities (DB-5, DB-1 and HP-innowax). Components were identified by comparison of their mass spectra with those of NIST’98 GC-MS library data of the GC-MS system and literature data, and further confirmed by comparison with the compounds elution order with their retention indices on semi-polar phases reported in the literature. Retention indices of the components were determined relative to the retention times of a series of n-alkanes with linear interpolation. At the same time, the paper deals with the separation and the identification of bergenin that is the component of Oreocharis acericula presenting the biologic activity, also includesits ability of eliminating O2-. and its stability and mechanism of the thermal dehydration.1 Essential oil GC-MS analysisThe experiment dealt with some plants such as Compositae, Umbelliferae, Aristolochiaceae, Magnoliaceae and Lauraceae, all the oils’ contents of which wereabundant, the yield of the essential oil obtained from Litsea pungens was highest, up to5.55%. According to the result of the component analysis, terpenes were shown as the major group of compositions in the oils obtained from most experimental plants except Artemsia capillaries, capillene and 5-phenyl-l,3-pentadiyne were the main components in its oil.1.1 Monoterpenes were shown as the major group of compositions in the oils of Dendranthema indicum and its flowers, especially oxygenated monoterpenes were present in large percentage. The four components characterized two essential oils: 1,8-cineole (0.12%30.41%), camphor (2.86%23.52%), borneol (4.66%18.34%), germacrene D (1.08-12.67%).The essential oils of Artemisia were divided into four types basing on the change of the composition and content:I) type of Artemisia apiacea Hance: it includes A. apiacea, A. lavandulaefolia, A.sacrorum and A. lactiflora, the content of oxygenated monoterpenes were very high in their essential oils. 1,8-cineole (4.65%41.80%), artemisia ketone (6.90%15.47%), artemisia alcohol (0.56%9.55%) and yomogi alcohol (0.86%9.35%) were the characterized components;II) type of A. annna: the essential oil mainly contained terpenes, for example,p-himachalene (11.52%), trans-cadia-l(6),4-diene (7.05%), p-farnesene (E-) (4.07%), caryophyllene(Z-) (5.76%) and p-cymene (4.98%);III) type of A. imponens: its oil mainly contained oxygenated terpenes such as vulgarone B (26.58%), 1,8-cineole (19.89%), camphor (7.91%) and a-cadinol (7.03%), in which vulgarone B was the particularly characterized component;IV) type of A. capillaries: benzene alkyne were the major group of compositions in theoil: capillene (43.64%) and 5-phenyl-l,3-pentadiyne (10.26%).The essential oil of Cacalia tangutica differed from the oils of the other congener plants, it contained terpenes: a-zingiberene (13.49%), germacrene D (10.76%), a-pinene (8.54%) and caryophyllene(Z-) (6.36%).1.2 The six essential oils of Umbelliferae were divided into three types basing on the change of the composition and content:I) Saposhnikovia divaricata and Peucedanum medicum, the content of monoterpeneswere very high in their oils, but the high-content components differed respectively, y-terpinene (24.43%), sabinene (11.15%), p-pinene (7.01%), caryophyllene (Z-)(6.56%) and terpene-4-ol (6.27%) were rich in the former o The latter oil mainly consisted of limonene (13.93%), p-mentha-2,4(8)-diene (9.19%) and a-pinene(5.58%).II ) Angelica pubescens and Cryptotaenia japonica, terpenes were their maincomponent in the oils, which shared the high-content components: germacrene D (4.09%16.20%), caryophyllene(E-) (7.36%12.57%), limonene (2.54%10.21%)and cc-pinene (1.21%9.17%).Ill) A. megaphylla and Osmorthiza aristata, their oils both contained large amount of sesquiterpenes, especially the amount of sesquiterpenes in the former one, up to 75.12%, although they were different in high-content component. The former oil was high abundant in caryophylIene(E-) (12.57%), a-selinene (8.35%), germacrene D (7.85%), p-selinene (6.71%) and p-famesene (E-) (6.26%). There wereEpi-a-bisabolol (18.25%), germacrene D (12.17%) and p-selinene (4.19%) in thelatter oil.1.3 Two essential oils of Aristolochiaceae differed a lot in the main components, Asarum caulescen was rich in p-pinene (6.64%46.64%), germacrone (7.63%20.72%), a-phellandrene (7.80%14.39%), 1,8-cineole (8.91%13.29%) and 2-carene (7.99%8.94%). Camphene (23.98%), borneol (6.82%), bomeol ramificaton 24.09% and selina-l,3,7(ll)-trien-8-onel0.24% occupied high percentage in the oil of Aristolochia debilis.1.4 The oil extracts of Iiicium henryi and L. pungens were in large amount, and both were colorless. But the components of those two oils were quite distinct from each other. In the former, 1,8-cineole (29.62%), a-pinene (4.86%), p-pinene (4.05%), a-terpineol (3.78%), terpene-4-ol (3.09%) and camphor (3.7%) were shown as the major group of compositions. The latter oil mainly contained carvone (29.36%), geraniol (25.36%),limonene (6.88%), P-citronellol (4.08%) and linalool (3.80%). The oil complexity demanded independent analyses on dissimilar stationary phase columns. By using apolar column, low-polarity column and polar column, and manycomponents could be found. The MS search routine used linear retention as a post filter and the identification of the unknowns was made more reliable.2 Antimicrobial activity of 15 essential oils and 3 pure samples ( artemisia ketone,p-cymene, 1,8-cineole)Fifteen essential oils tested antimicrobial activity in vitro. But the essential oils of A. annua and P. medicum were tested by using the agar disc diffusion method in virtue of lack of the oils (other oils were not examined the antimicrobial activity in vitro due to lack of the oils). The detailed analysis divided into three files according to the antibacterial activity from strong to weak.2.1 Analysis of the essential oil showing the strongest antimicrobial activityThe essential oil of L pungens showed the strongest antimicrobial activity and presented rather a broad antimicrobial spectrum. At the concentration of 0.312.5 mg/ml, it exhibited very strong antimicrobial activity against all the microorganisms tested, particularly against clinical isolated strains. The range of MBC against clinical isolated strains was fromO.31 mg/ml to 0.61 mg/ml.2.2 Analysis of the essential oil showing the very strong antimicrobial activityAt the concentration of 0.6310.00mg/ml, the oil of/, henryi Diels exhibitedrather strong antimicrobial activity against all the microorganisms tested. At the concentration of 1.255.00mg/m it exhibited rather strong antimicrobial activity against clinical isolated strains.At the concentration of 0.1620.00mg/ml, the oil of A. capillaries exhibited rather strong antimicrobial activity against all the microorganisms tested, especially against the gram-positive bacteria and yeasts. The bactericidal activity of this oil was stronger against two yeasts than other oils. All the results of MBC against Staphylococcus aureus CCTCC AB91053, S. aureus CCTCC AB91118, H. anomala and Candida sp. Were 0.16mg/ml. This oil showed the most effective on S. saprophyticus, the result of MIC was 0.02mg/ml.The oil of A. sacrorum exhibited rather effective against gram-positive bacteria, gram-negative bacteria and yeasts except Salmonella typhi. The fact that at the concentration of 0.312.50mg/ml, it showed the bactericidal activity against clinicalisolated strains was worth the whistle.2.3 Analysis of the essential oil showing the stronger antimicrobial activityThe oil of A. imponens had a strong effect on the gram-positive bacteria and yeasts, and strongest effect on S. aureus CCTCC AB91053, with MBC up to 0.04mg/ml, followed by Enterococcusfaecalis, S.saprophyticu, whose MIC&MBC are both 0.16mg/ml. However, it had no effect on E. coli CCTCC AB91107. The result of MBC against H. anomala was 0.31mg/ml, and the one of MIC against Candida sp was 0.08mg/ml.At the concentration of 0.165.00mg/ml, the oil of C. tangutica had bactericidal activity against the other microorganisms except B. subtilis and E. coli CCTCC AB90054 against which the oil had no inhibitory effect. It showed very strong effect on P. mirabilis which belonged to the gram-positive bacteria. The results of MIC&MBC were both 0.63mg/ml.Both oils of S. divaricata and A. megaphylla had effect on the gram-positive bacteria, gram-negative bacteria and yeasts. For example, the former oil had obvious effect on C.freundill which was the gram-negative bacterium, while the results of MIC&MBC were both 0.63mg/ml. However, the latter oil had no activity against E. faecalis the gram-positive bacterium.The activity of the oil of C. japonica was the more effective on the gram-positive bacteria and yeasts. The oil exhibited the strongest effect on Candida sp., and the resultof MIC was 0.04mg/mL followed by S. aureus. It had no activity against the threegram-negative bacteria.2.4 Analysis of the essential oil showing the moderately strong antimicrobial activity The oil of A. debili had good activity against the gram-positive bacteria,particularly B. subtilis, the result of MIC was 0.16mg/ml. It had a generic activity against the yeast. It showed no bactericidal activity against S. typhi and P. mirabilis and had no inhibitory effect on E. coli and K. pneumoniae.In general, the oils of D. indicum, air-dried flowers of C. indicum and pre-processed flowers of C. indicum showed better effect on the gram-positive bacteria and yeasts. The oil of air-dried flowers had best effect on E. coli clinically isolated strains (the results of MIC&MBC were 0.39mg/ml) and had no activity against S. cescerevisiae, E. faecalis. In addition, the other two oils had best antimicrobial activityagainst S. saprophyticus, the results of MBC were0.78 mg/ml fP 1.25 mg/mlrespectively.The oil of A. apiacea showed a little stronger bactericidal activity against the gram-positive bacteria, had best bactericidal activity against E.faecalis (the results of MIC&MBC both were 0.63 mg/ml), and exhibited no activity against many gram-negative bacteria.The oil of A. laxandulaefolia exhibited the strongest antimicrobial activity against the gram-positive bacteria, the range of MBC was from0.63 mg/ml to 5.00mg/ml, had a generic activity against the epiphyte. It had no activity against three gram-negative bacteria: S. typhi, E. coli, E. cloacae.The oils of fresh and air-dried rootstock of A. caulescen exhibited the stronger antimicrobial activity against the gram-positive bacteria and yeasts, showed the weaker bactericidal activity against all the microorganisms tested. In general, the activity of the oil of fresh rootstock was weaker than the one of air-dried rootstock .2.5 Analysis of antimicrobial activity of A. annua and P. medicum oils (only theresults of DD)The two oils was better effective on the gram-positive bacteria, and had a generic activity against the epiphyte. The essential oil of A. annua had no activity against B. subtilis and S. typhi. The essential oil of P. medicum had no inhibitory activity against E. coli CCTCC AB90054 and E. cloacae.2.6 Analysis of antimicrobial activity of artemisia ketone, p-cymene, 1,8-cineole With comparison of the antimicrobial ability of three sample (artemisia ketone,p-cymene, 1,8-cineole), artemisia ketone exhibited the strongest activity, especially showed the strongest antimicrobial activity against S. saprophyticus, and the result of MBC was 0.01mg/ml.l,8-Cineole showed the higher inhibitory effect against the epiphytes, and the results of MIC&MBC are 0.31 mg/ml. p-Cymene exhibited the weakest activity in all.From the analysis of the compositions of the essential oils and the results of antimicrobial activity, it was shown that the major components were concluded to be responsible for bacteriostatic activity. The high-content components showing the anti-epiphyte activity(l,8-cineole and vulgarone B), which were in the essential oil ofA. imponens. Although the essential oils showed the strong anti-epiphyte activity, with comparison in the landscape orientation of the oils’ main components obtained from A. capillaries, A.sacrorum, C.tangutica and C.japonica which exhibited significant anti-epiphyte activity, the antimicrobial activity had nothing to do with the bases clearly and directly. Therefore in fact it was possible that the antimicrobial effect presented is the result of that some components might be involved in some type of synergism with the others. It was obvious to fine that with comparison of the antimicrobial effect of the oils and samples.3 Study of bergenin3.1 Bergenin was separated from the plant of O. acericula by TLC, and qualitatively analysed by UV spectrophotometry and HPLC. The elementary judgement is that Bergenin exists in this plant and its content is lower.3.2 The stability and ability of anti-oxygen free radicals of bergeninThe ability of anti-oxygen free radicals of bergenin was determined by the classical methods of Mcord et al. and Beauchamp et al. The result shows that bergenincan eliminate O27 effectively, and the ability in the illuminaton-lactoflavm system is higher than in the Xanthine-oxidase-cytochrome C system. The data obtained by the method of cycle volt-ampere shows that bergenin is more stable in the acidic environment than the neutral one, and is easy to be attacked by NO and oxidated.3.3 The non-isothermal decomposition kinetics of ephedrine hydrochloridum, tinidazole, idoxuridine and several kinds of anti-inflammation drugs were studied by TG-DTG techniques, The pissible decomposition kinetic function was suggested and kinetic parameters were obtained.

  • 【网络出版投稿人】 武汉大学
  • 【网络出版年期】2006年 05期

